

cd ?dirName?

Change the current directory (as returned by pwd) to the given directory. If dirName is omitted, change to the user's home directory (or whatever is listed in the ::env(HOME) variable).


man page


cd stands for change directory. This sets a kernel specific piece of information regarding what files within a filesystem the application will see if they use relative pathnames (that is to say, pathnames either beginning with ./ , ../ , or without any leading directory indicatory).

This kernel value is a unique value per process - changing it in one process won't change it in other existing processes.

frequently-made mistake is to attempt to [[exec] the cd command.

AMG: Here's an exception. [[exec]'ing cd is actually correct when the "cd" in question comes from the execline package, in which everything'' is accomplished through Bernstein chaining. See [L1 ] for documentation on this variant of cd.

Stacking cd

Records of crystals, kept here for reference:
┌──
No. 1
CrBiHOs2: optimized geometry, PBE-GGA.

abc: 3.9546 3.9546 4.5553
angles: 90.00 90.00 90.00
Last column: nearest neighbours and their distance in Å.
Space group P4/mmm (No. 123)
Inequivalent atoms, fractional coordinates:
Cr (0.0000, 0.0000, 0.0000) [1 per cell]  4 Bi 2.80, 8 Os 3.02
Bi (0.5000, 0.5000, 0.0000) [1 per cell]  2 H 2.28
H (0.5000, 0.5000, 0.5000) [1 per cell]  4 Os 1.98
Os (0.0000, 0.5000, 0.5000) [2 per cell]  2 H 1.98

Output
Its total magnetization is 3.1 Bohr magnetons per cell. For the total DFT energy (no corrections), the calculation gives -35.08 eV/cell.

No. 2
Ce3Si2Au5: optimized geometry, PBE-GGA.

abc: 10.2842 14.7721 6.0759
angles: 90.00 90.00 90.00
Last column: nearest neighbours and their distance in Å.
Space group Ibam (No. 72)
Inequivalent atoms, fractional coordinates:
Ce (0.0000, 0.0000, 0.2500) [4 per cell]  4 Si 2.94, 2 Ce 3.04, 2 Au 3.12
Ce (0.2127, 0.3454, 0.0000) [8 per cell]  10 Au 3.24-3.52, 3 Si 3.24-3.33
Si (0.1608, 0.1289, 0.0000) [8 per cell]  3 Au 2.42-2.55
Au (0.0000, 0.2113, 0.2500) [8 per cell]  2 Si 2.55, 2 Au 2.84
Au (0.0000, 0.5000, 0.2500) [4 per cell]  6 Au 2.83-3.04
Au (0.1053, 0.3560, 0.5000) [8 per cell]  1 Si 2.42

Output
The uncorrected formation energy is -0.4447 eV per atom. Its total magnetization is 12.1 Bohr magnetons per cell.

No. 3
BaZrCd: optimized geometry, PBE-GGA.

abc: 5.1142 5.9440 6.8657
angles: 79.58 89.81 89.93
Last column: nearest neighbours and their distance in Å.
Space group P-1 (No. 2)
Inequivalent atoms, fractional coordinates:
Ba (0.2505, 0.2424, 0.0943) [2 per cell]  4 Cd 3.47-3.63, 1 Zr 3.85
Zr (0.2502, 0.5967, 0.5112) [2 per cell]  2 Zr 2.82, 2 Cd 2.98-3.10
Cd (0.2496, 0.0866, 0.6069) [2 per cell]  4 Zr 2.98-3.19, 2 Cd 3.21

Output
Its total magnetization is 0.0 Bohr magnetons per cell. The calculation puts the formation energy from the elements at 170 meV/atom. The excess energy over the best structure of this formula in the dataset is 81 meV per atom.

No. 4
LiLuVTc: optimized geometry, PBE-GGA.

abc: 6.4205 6.4205 6.4205
angles: 90.00 90.00 90.00
Last column: nearest neighbours and their distance in Å.
Space group F-43m (No. 216)
Inequivalent atoms, fractional coordinates:
Li (0.0000, 0.0000, 0.0000) [4 per cell]  4 V 2.78, 4 Lu 2.78
Lu (0.2500, 0.2500, 0.2500) [4 per cell]  4 Li 2.78, 4 Tc 2.78
V (0.2500, 0.2500, 0.7500) [4 per cell]  4 Tc 2.78, 4 Li 2.78
Tc (0.0000, 0.0000, 0.5000) [4 per cell]  4 Lu 2.78, 4 V 2.78

Output
Its total magnetization is 5.2 Bohr magnetons per cell. The calculation puts the formation energy from the elements at 88 meV/atom.

----------

[1]
Cd12Cu3Hg5 | PBE | relaxed

Structure (POSCAR):
```
Cd12Cu3Hg5
1.0
14.2520 0.0000 0.0000
-4.7507 13.4369 0.0000
-4.7507 -6.7185 11.6367
Hg Cd Cu
20 48 12
Direct
0.0000 0.0000 0.5000
0.5000 0.0000 0.0000
0.6250 0.8750 0.2500
0.5000 0.5000 0.5000
0.2500 0.3750 0.6250
0.2500 0.8750 0.1250
0.7500 0.1250 0.8750
0.5000 0.5000 0.0000
0.5000 0.0000 0.5000
0.7500 0.6250 0.3750
└──

The following overloaded version keeps a stack of visited directories (implicit "pushd"). The "popd" functionality fires if called as "cd -":

if {[info command tcl::cd]==""} {rename cd tcl::cd}
proc cd {{dir ""}} {
    global cd_stack
    if {$dir=="-"} {
        set dir [lindex $cd_stack end]
        set cd_stack [lrange $cd_stack 0 end-1]
    } else {
       if {$dir==""} {set dir $::env(HOME)}
       lappend cd_stack [pwd]
    tcl::cd $dir
} ;# RS

A variant with a little more error checking, an no reliance on env(HOME):

if {[llength [info command tcl::cd]] == 0} { rename cd tcl::cd }
proc cd {{dir {}}} {
    variable tcl::cd_lastdir
    set pwd [pwd]
    if {$dir eq "-"} {
        if {![info exists cd_lastdir]} { return }
        set dir $cd_lastdir
    } elseif {[llength [info level 0]] == 1} {
        # no $dir specified - go home
        set code [catch {tcl::cd } res]
    if {![info exists code]} {
        set code [catch {tcl::cd $dir} res]
    if {!$code} { set cd_lastdir $pwd }
    return -code $code $res
}; # JH

MCR However, the tcl::cd command does not change the Windows Drive letter. To do that XXX.

AM You mean, you expect it to behave as:

% pwd
% cd d:
% pwd
% cd c:

So, changing the drive would get you back to the previous directory on that drive?

The ordinary cd command does not do that - "cd c:" is treated as "cd c:/". (Personally I find it a trifle annoying to have to run two commands in a DOS-box to go to a different directory on a different drive ...)

RS: Oh, with an extra "/d" option you can in cmd.exe:

H:\>cd /d d:/Tcl


With a bit of work you can have the behaviour you want though :).